Work order =
Please find "[Å]" and "0.500 0.916" in the data further down, and reproduce these two lines and those between.

Input =
Starting from a structure optimized by DFT (PBE), the powder diffraction line list of Rb2Ba2O3 was calculated for Cu Kα, 1.54184 Å.

Top 6 peaks for 2θ from 15° to 90°, in order of rising 2θ:
| d [Å] | Position (°2θ) | Rel. int. | index |
| --- | --- | --- | --- |
| 3.362 | 26.51 | 44.2 | 2 0 -2 |
| 3.326 | 26.81 | 44.7 | 4 0 0 |
| 3.281 | 27.18 | 93.0 | 1 1 1 |
| 2.909 | 30.73 | 47.5 | 2 0 2 |
| 2.848 | 31.41 | 100.0 | 3 1 -1 |
| 2.043 | 44.33 | 42.1 | 1 1 -3 |

Structure:
```
data_Rb2Ba2O3
_space_group_name_H-M_alt 'C 1 2/m 1'
_space_group_IT_number 12
_cell_length_a 13.508
_cell_length_b 3.973
_cell_length_c 7.149
_cell_angle_alpha 90.00
_cell_angle_beta 99.99
_cell_angle_gamma 90.00
loop_
_space_group_symop_operation_xyz
'x,y,z'
'-x,-y,-z'
'-x,y,-z'
'x,-y,z'
'x+1/2,y+1/2,z'
'-x+1/2,-y+1/2,-z'
'-x+1/2,y+1/2,-z'
'x+1/2,-y+1/2,z'
loop_
_atom_site_label
_atom_site_fract_x
_atom_site_fract_y
_atom_site_fract_z
_atom_site_occupancy
Rb1 0.147 0.000 0.371 1
Ba1 0.130 0.500 0.916 1
O1 0.000 0.000 0.000 1
O2 0.238 0.000 0.778 1

Written answer =
| d [Å] | Position (°2θ) | Rel. int. | index |
| --- | --- | --- | --- |
| 3.362 | 26.51 | 44.2 | 2 0 -2 |
| 3.326 | 26.81 | 44.7 | 4 0 0 |
| 3.281 | 27.18 | 93.0 | 1 1 1 |
| 2.909 | 30.73 | 47.5 | 2 0 2 |
| 2.848 | 31.41 | 100.0 | 3 1 -1 |
| 2.043 | 44.33 | 42.1 | 1 1 -3 |

Structure:
```
data_Rb2Ba2O3
_space_group_name_H-M_alt 'C 1 2/m 1'
_space_group_IT_number 12
_cell_length_a 13.508
_cell_length_b 3.973
_cell_length_c 7.149
_cell_angle_alpha 90.00
_cell_angle_beta 99.99
_cell_angle_gamma 90.00
loop_
_space_group_symop_operation_xyz
'x,y,z'
'-x,-y,-z'
'-x,y,-z'
'x,-y,z'
'x+1/2,y+1/2,z'
'-x+1/2,-y+1/2,-z'
'-x+1/2,y+1/2,-z'
'x+1/2,-y+1/2,z'
loop_
_atom_site_label
_atom_site_fract_x
_atom_site_fract_y
_atom_site_fract_z
_atom_site_occupancy
Rb1 0.147 0.000 0.371 1
Ba1 0.130 0.500 0.916 1